Wherever you live, there’s treasure to be discovered!
Not just gold and gems, but stories of buildings, locations and people.
Our heritage is a great wealth… and it’s all around us. Sometimes standing proud in the open air – sometimes hidden behind some bushes.
And to help find it, we’re looking for Heritage Heroes – could you be one?
You can find clues in all sorts of places to find out what happened in your street, neighbourhood and further afield, from famous visitors to historic events.
Here are three tips to help you become a Heritage Hero…

Trade used to be done in Market Squares
Before the Victorian era, many people grew a lot of their own food and would have made a few pennies by selling what they didn’t need at a local market.
Since the Middle Ages, market squares would have been places where people came together to buy and sell produce and livestock. Not many town markets sell cows and pigs today! They’re more likely to be selling fruit and vegetables, jeans, tee shirts and things like plastic buckets!
Place Names can give us clues
Have a look at some of the place names!
Shepherd’s Bush in West London is a green where shepherds used to rest their flocks on their way to market – and where they ate some prominent shrubs, whilst Birmingham’s Bull Ring got its name from bull baiting in the 16th Century.
And don’t forget street names – what do you think they sold in London’s Bread Street, Milk Street and Pudding Lane?
How can you learn something new about your local area?
You could speak to somebody who has lived in the area for a long time, visit a local library or use the internet to find about some interesting facts about your area!
When you’ve found out something new, why don’t you send us a voice message or comment below and let us know!
High Streets
It was in the Victorian era that the high street as we know it came into its own. As more people moved into towns and cities, fewer people grew their own produce and relied on shops for food and other goods. Meat and vegetables were displayed for all to see outside the shops, so in a way the early high street looked a lot like a market. As well as groceries and general stores, specialist shops included chemists, outfitters, pawnbrokers and newsagents. And then there were shops for eating on the go… fish and chips and confectionary.
It was in the Edwardian era that shopping became a bit of a pastime. Cheaper goods, especially with imports, meant even the poorest were able to afford meat from time to time and canned goods started to be popular. It was also the era of the department store – Selfridges opened in 1909.
During the 1930s, shops began to use advertising and window displays to draw in customers. Goods were displayed in glass cabinets and brands started to appear – not just goods but high street names like Boots.
In the 1960s, self service started to be the norm in large shops that were bright and colourful.
Street Signs
In many old streets, you might spot old signs or names painted on the brickwork from other uses.
There might also be old doors with brass or painted signs from the past or maybe a large cellar which may indicate that a building used to be a tavern.
Businesses often use the historic use of a building in its name – for example, a restaurant might be called ‘The Bank’ or the ‘Olde Mill’ – any guesses why?
High Streets have always been popular, so there’ll be photographic records of many streets.
Your local library is a good place to start to take a peek at the past.
(Inserted here: calculated crystals)
-- begin --
# NiAs2O4
Computed X-ray diffraction stick pattern, Cu Ka. Input: a PBE+U-relaxed structure.

Most intense lines, 2θ from 10° to 90°, in order of rising 2θ:
index  two_theta  I_rel
1 1 0  15.01  40
2 1 1  28.47  100
2 2 0  30.28  36
2 0 2  37.90  38
4 1 1  47.59  41
3 3 2  56.61  31

Cell and atoms:
```
NiAs2O4
1.0
8.3483 0.0000 0.0000
0.0000 8.3483 0.0000
0.0000 0.0000 5.7727
Ni As O
4 8 16
direct
0.0000 0.5000 0.2500
0.0000 0.5000 0.7500
0.5000 0.0000 0.2500
0.5000 0.0000 0.7500
0.1711 0.1856 0.0000
0.1856 0.8289 0.5000
0.3144 0.3289 0.5000
0.3289 0.6856 0.0000
0.6711 0.3144 0.0000
0.6856 0.6711 0.5000
0.8144 0.1711 0.5000
0.8289 0.8144 0.0000
0.1063 0.3646 0.5000
0.1354 0.3937 0.0000
0.1826 0.6826 0.2500
0.1826 0.6826 0.7500
0.3174 0.1826 0.2500
0.3174 0.1826 0.7500
0.3646 0.8937 0.0000
0.3937 0.8646 0.5000
0.6063 0.1354 0.5000
0.6354 0.1063 0.0000
0.6826 0.8174 0.2500
0.6826 0.8174 0.7500
0.8174 0.3174 0.2500
0.8174 0.3174 0.7500
0.8646 0.6063 0.0000
0.8937 0.6354 0.5000
```
-- stop --
Now it’s over to you! Here’s a reminder of things to look for to help you find out about the place where you live.
1 – As you walk up and down, make a note of what you see and have a think about who might have been there before. Local libraries often have pictures of high streets past and present to help.
2 – If you look carefully, you can sometimes see old adverts painted on the side of buildings. You can explore some of these signs online at GHOSTSIGNS.CO.UK.
-- Materials data from another source follow --
........
Diffraction record for AlHgTe. The powder diffraction line list is calculated, not measured: it uses a GGA-PBE-relaxed structure and a wavelength of 1.5418 Å.
Lines closer than 0.1° are merged.

The 10 most intense peaks (10 to 90 degrees two-theta), low angle first:
| 2θ/deg | d/Å | intensity |
| --- | --- | --- |
| 22.0 | 4.047 | 90 |
| 24.2 | 3.672 | 100 |
| 26.0 | 3.423 | 56 |
| 27.3 | 3.269 | 99 |
| 27.8 | 3.208 | 74 |
| 27.9 | 3.196 | 68 |
| 28.4 | 3.142 | 90 |
| 33.9 | 2.642 | 80 |
| 34.8 | 2.579 | 89 |
| 44.4 | 2.041 | 55 |

Structure:
Lattice parameters (Å, degrees): 4.082 5.585 10.597 97.07 100.94 111.33
Positions (direct):
1 Al 0.000 0.000 0.000
2 Al 0.200 0.456 0.942
3 Hg 0.804 0.037 0.552
4 Hg 0.996 0.551 0.416
5 Te 0.513 0.880 0.147
6 Te 0.687 0.577 0.795

***

Diffraction record for Ba2Mg3AgF12. The powder diffraction line list is calculated, not measured: it uses a GGA-PBE-relaxed structure and a wavelength of 1.5418 Å.
Lines closer than 0.1° are merged.

The 10 most intense peaks (10 to 90 degrees two-theta), low angle first:
| 2θ/deg | d/Å | intensity |
| --- | --- | --- |
| 17.5 | 5.074 | 33 |
| 24.6 | 3.624 | 83 |
| 28.9 | 3.088 | 30 |
| 29.1 | 3.065 | 100 |
| 29.6 | 3.021 | 69 |
| 38.8 | 2.321 | 66 |
| 39.4 | 2.289 | 36 |
| 46.2 | 1.966 | 32 |
| 46.5 | 1.954 | 37 |
| 50.4 | 1.812 | 54 |

Structure:
Lattice parameters (Å, degrees): 7.108 7.108 7.108 61.32 61.32 61.32
Positions (direct):
1 Ba 0.111 0.111 0.111
2 Ba 0.889 0.889 0.889
3 Mg 0.000 0.500 0.500
4 Mg 0.500 0.000 0.500
5 Mg 0.500 0.500 0.000
6 Ag 0.500 0.500 0.500
7 F 0.091 0.633 0.633
8 F 0.212 0.212 0.620
9 F 0.212 0.620 0.212
10 F 0.367 0.367 0.909
11 F 0.367 0.909 0.367
12 F 0.380 0.788 0.788
13 F 0.620 0.212 0.212
14 F 0.633 0.091 0.633
15 F 0.633 0.633 0.091
16 F 0.788 0.380 0.788
17 F 0.788 0.788 0.380
18 F 0.909 0.367 0.367

***

Diffraction record for Ba2LiPd6Pb. The powder diffraction line list is calculated, not measured: it uses a GGA-PBE-relaxed structure and a wavelength of 1.5418 Å.
Lines closer than 0.1° are merged.

The 10 most intense peaks (10 to 90 degrees two-theta), low angle first:
| 2θ/deg | d/Å | intensity |
| --- | --- | --- |
| 15.6 | 5.671 | 53 |
| 25.5 | 3.492 | 29 |
| 30.3 | 2.947 | 49 |
| 30.5 | 2.935 | 100 |
| 32.9 | 2.720 | 19 |
| 39.8 | 2.264 | 30 |
| 41.0 | 2.199 | 24 |
| 41.4 | 2.178 | 24 |
| 45.0 | 2.016 | 16 |
| 71.5 | 1.320 | 22 |

Structure:
Lattice parameters (Å, degrees): 6.748 6.784 6.785 61.95 62.17 62.12
Positions (direct):
1 Ba 0.194 0.194 0.195
2 Ba 0.806 0.806 0.805
3 Li 0.000 0.000 0.000
4 Pd 0.158 0.313 0.622
5 Pd 0.315 0.623 0.157
6 Pd 0.376 0.842 0.685
7 Pd 0.624 0.158 0.315
8 Pd 0.685 0.377 0.843
9 Pd 0.842 0.687 0.378
10 Pb 0.500 0.500 0.500

***

Diffraction record for CeYMn17. The powder diffraction line list is calculated, not measured: it uses a GGA-PBE-relaxed structure and a wavelength of 1.5418 Å.
Lines closer than 0.1° are merged.

The 10 most intense peaks (10 to 90 degrees two-theta), low angle first:
........
3 – And have a think about the names of streets – they can often tell you who or what lived and worked around there.
Here are some helpful links that will help you become a Heritage Hero!
Check out some old Town Maps: www.townmaps.history.ac.uk/
Learn about Life in Britain: www.massobs.org.uk
/*
No. 1
Diffraction record for KBaFe4Se6. The powder diffractogram is computed, not measured: it uses DFT lattice parameters and positions (GGA-PBE) and Cu Kα.
Intensities are scaled so that the largest is 1000.

Peak list (10 most intense, 2θ from 10° to 80°, most intense first)
(hkl), Position (°2θ), I (rel.)
1 2 2, 29.42, 1000
0 1 1, 12.06, 316
2 0 4, 44.87, 258
2 4 0, 52.18, 182
0 1 3, 24.03, 148
2 3 1, 45.30, 146
3 2 2, 56.89, 140
1 1 3, 29.21, 130
0 0 2, 14.59, 123
0 4 4, 49.71, 109

Cell and atoms:
```
data_KBaFe4Se6
_cell_length_a 5.4107
_cell_length_b 9.2074
_cell_length_c 12.1431
_cell_angle_alpha 90.00
_cell_angle_beta 90.00
_cell_angle_gamma 90.00
_space_group_name_H-M_alt 'P m c 21'
_space_group_IT_number 26
loop_
_space_group_symop_operation_xyz
'x,y,z'
'-x,-y,z+1/2'
'-x,y,z'
'x,-y,z+1/2'
loop_
_atom_site_label
_atom_site_type_symbol
_atom_site_fract_x
_atom_site_fract_y
_atom_site_fract_z
K1 K 0.0000 0.2358 0.0000
Ba1 Ba 0.5000 0.2786 0.6520
Fe1 Fe 0.2501 0.3817 0.3185
Fe2 Fe 0.2517 0.1037 0.3359
Se1 Se 0.0000 0.0680 0.7385
Se2 Se 0.0000 0.2549 0.4558
Se3 Se 0.0000 0.4914 0.6870
Se4 Se 0.5000 0.0056 0.9729
Se5 Se 0.5000 0.2277 0.1984
Se6 Se 0.5000 0.4566 0.9232
```

No. 2
Diffraction record for BaLa2Fe. The powder diffractogram is computed, not measured: it uses DFT lattice parameters and positions (GGA-PBE) and Cu Kα.
Intensities are scaled so that the largest is 1000.

Peak list (10 most intense, 2θ from 10° to 80°, most intense first)
(hkl), Position (°2θ), I (rel.)
1 1 0, 34.74, 1000
0 0 3, 26.00, 839
0 1 1, 25.86, 682
0 1 2, 30.02, 666
1 0 -2, 29.86, 361
0 2 0, 49.95, 353
0 1 4, 43.04, 326
1 0 2, 30.18, 305
1 1 -3, 43.73, 292
1 1 3, 44.08, 281

Cell and atoms:
```
data_BaLa2Fe
_cell_length_a 3.6519
_cell_length_b 3.6517
_cell_length_c 10.2784
_cell_angle_alpha 90.00
_cell_angle_beta 90.63
_cell_angle_gamma 90.00
_space_group_name_H-M_alt 'P 1 2/m 1'
_space_group_IT_number 10
loop_
_space_group_symop_operation_xyz
'x,y,z'
'-x,-y,-z'
'-x,y,-z'
'x,-y,z'
loop_
_atom_site_label
_atom_site_type_symbol
_atom_site_fract_x
_atom_site_fract_y
_atom_site_fract_z
Ba1 Ba 0.0000 0.0000 0.0000
La1 La 0.4929 0.5000 0.6612
Fe1 Fe 0.0000 0.0000 0.5000
```
*/
**Here the piece continues**
Film Archives are a useful research tool: www.bfi.org.uk/archive-collections
As well as old Newspapers: www.britishnewspaperarchives.co.uk
History of markets and fairs: www.nationalarchives.gov.uk/help-with-your-research/research-guides/markets-fairs
History of the High Street: www.historyextra.com/period/modern/a-history-of-the-high-street/